What better way to spend some quality time with your significant other than by cuddling up on the couch together and laying the smack-down on some virtual bad guys? This is me and my boyfriend’s idea of couples therapy: taking out our frustrations in-game, working with one another to solve problems, and coordinating in combat to pull off the most effective combos. These three games in particular are ones that we both have enjoyed playing together, and provided us with more team-building and satisfaction than some hack-n-slash multiplayer like Super Smash Bros does.
_Someone pasted calculated crystals at this point_
'''
A relaxed structure of YBOs2. Source: the Open Quantum Materials Database, functional PBE-GGA.

Computed properties:
- Electronic total energy: -32.34 eV per cell
- Space group: F-43m (216)
- Theoretical density: 12.9 Mg/m³
- Volume: 62 Å³/cell

abc: 4.434 4.434 4.434
angles: 60.00 60.00 60.00
Site moments in Bohr magnetons follow the coordinates.
Fractional coordinates of all 4 atoms:
Y: 0.250 0.250 0.250  0.03
Os: 0.000 0.000 0.000  0.49
Os: 0.750 0.750 0.750  0.17
B: 0.500 0.500 0.500  0.04

~~~~~

Material: Mg5Tc
Method: DFT, SCAN
State: PBEsol geometry

Lattice parameters (Å, degrees): 5.453 5.453 4.920 90.00 90.00 120.00
Fractional coordinates of all 6 atoms:
Mg 0.000 0.500 0.000
Mg 0.333 0.667 0.500
Mg 0.500 0.000 0.000
Mg 0.500 0.500 0.000
Mg 0.667 0.333 0.500
Tc 0.000 0.000 0.500

Computed properties:
Calculated volume in Å³/f.u.: 127
Formation energy in eV per atom: 0.61
Uncorrected energy in eV/atom: -9.375
Magnetic moment in μB/atom: 0.4942

~~~~~

The following is a DFT calculation (PBE) of a relaxed YMg2As crystal.

Unit cell a=6.6261 b=6.6261 c=6.6261 alpha=100.63 beta=100.63 gamma=129.13
With the nearest neighbours (Å) after each atom.
Fractional coordinates of all 8 atoms:
Y (0.0000, 0.0000, 0.0000)  2 As 2.85
'''
Divinity: Original Sin

Divinity: Original Sin is a fantasy RPG that features a unique, turn-based strategy system of combat. The story is really neat, the characters are great, and there are a lot of puns. The game presents two playable characters and the players can select one of 11 classes to build their fighting style around. These include standard D&D classes such as Fighter, Ranger, and Rogue, but also include more unusual classes such as Shadowblade and Battlemage. The player is not restricted to these classes, however – you can pick and choose which skills you want to learn for a fully customizable character build.
The combat system allows the two players to collaborate with one another to come up with the best strategy to defeat the enemy, using both the environment and their own skills to their advantage. This game is really fun to play because each player has full control over their own character – you are free to explore without having to stick to your partner’s side at all times. This eliminates the frustration of some games (such as the Tales of series, below) that allow only one character to control the movement of the party. The unique style of combat also helps to bolster teamwork and critical-thinking between players, which can be a great skill for couples to possess. If they can strategically get through a frustrating in-game problem without losing their cool with one another, they have the potential to work through real-world problems, too.
Divinity: Original Sin is available for PC, Mac, PS4, and Xbox One. A sequel is currently in early access, and should be released in full later this year.
The Tales of Series
/*
No. 1
VASP calculation (PBE) on a relaxed Hf3ScH crystal.

abc: 4.5073 4.5073 4.5073
angles: 90.00 90.00 90.00
Sites, in units of the cell vectors:
Hf 0.0000 0.0000 0.5000
Hf 0.0000 0.5000 0.0000
Hf 0.5000 0.0000 0.0000
Sc 0.5000 0.5000 0.5000
H 0.0000 0.0000 0.0000

Summary:
DOS(E_F) ... 8.56 states/eV/cell
Energy above the most stable polymorph in this dataset ... 0.0 kJ per mole of atoms


No. 2
VASP calculation (PBE) on a relaxed HfScH crystal.

abc: 3.2605 3.2605 5.0873
angles: 90.00 90.00 120.00
Sites, in units of the cell vectors:
Hf 0.0000 0.0000 0.0000
Sc 0.3333 0.6667 0.5031
H 0.6667 0.3333 0.2309

Summary:
DOS(E_F) ... 1.33 states/eV/cell
Energy above the most stable polymorph in this dataset ... 2.5 kJ per mole of atoms


No. 3
VASP calculation (PBE) on a relaxed HfSc3H8 crystal.

abc: 4.7314 4.7314 4.7314
angles: 90.00 90.00 90.00
Sites, in units of the cell vectors:
Hf 0.0000 0.0000 0.0000
Sc 0.0000 0.5000 0.5000
Sc 0.5000 0.0000 0.5000
Sc 0.5000 0.5000 0.0000
H 0.2473 0.2473 0.2473
H 0.2473 0.2473 0.7527
H 0.2473 0.7527 0.2473
H 0.2473 0.7527 0.7527
H 0.7527 0.2473 0.2473
H 0.7527 0.2473 0.7527
H 0.7527 0.7527 0.2473
H 0.7527 0.7527 0.7527

Summary:
E_tot ... -5.31 eV per atom
DOS(E_F) ... 2.54 states/eV/cell


No. 4
VASP calculation (PBE) on a relaxed HfScH2 crystal.

abc: 3.2011 3.2011 15.7581
angles: 90.00 90.00 120.00
Sites, in units of the cell vectors:
Hf 0.0000 0.0000 0.0000
Hf 0.3333 0.6667 0.6667
Hf 0.6667 0.3333 0.3333
Sc 0.0000 0.0000 0.5000
Sc 0.3333 0.6667 0.1667
Sc 0.6667 0.3333 0.8333
H 0.0000 0.0000 0.2596
H 0.0000 0.0000 0.7404
H 0.3333 0.6667 0.4071
H 0.3333 0.6667 0.9263
H 0.6667 0.3333 0.0737
H 0.6667 0.3333 0.5929

Summary:
DOS(E_F) ... 11.56 states/eV/cell
Energy above the most stable polymorph in this dataset ... 5.7 kJ per mole of atoms


No. 5
VASP calculation (PBE) on a relaxed Hf5Sc3H12 crystal.

abc: 10.2329 10.2329 10.2329
angles: 109.47 109.47 109.47
Sites, in units of the cell vectors:
Hf 0.0000 0.0000 0.0000
Hf 0.0000 0.0000 0.5000
Hf 0.0000 0.5000 0.0000
Hf 0.0000 0.5000 0.5000
Hf 0.1250 0.7500 0.8750
Hf 0.1250 0.8750 0.2500
Hf 0.2500 0.1250 0.8750
Hf 0.2500 0.6250 0.3750
Hf 0.3750 0.2500 0.6250
Hf 0.3750 0.6250 0.7500
Hf 0.5000 0.0000 0.0000
Hf 0.5000 0.0000 0.5000
Hf 0.5000 0.5000 0.0000
Hf 0.5000 0.5000 0.5000
Hf 0.6250 0.3750 0.2500
Hf 0.6250 0.7500 0.3750
Hf 0.7500 0.3750 0.6250
Hf 0.7500 0.8750 0.1250
Hf 0.8750 0.1250 0.7500
Hf 0.8750 0.2500 0.1250
Sc 0.1250 0.2500 0.3750
Sc 0.1250 0.3750 0.7500
Sc 0.2500 0.3750 0.1250
Sc 0.2500 0.8750 0.6250
Sc 0.3750 0.1250 0.2500
Sc 0.3750 0.7500 0.1250
Sc 0.6250 0.2500 0.8750
Sc 0.6250 0.8750 0.7500
Sc 0.7500 0.1250 0.3750
Sc 0.7500 0.6250 0.8750
Sc 0.8750 0.6250 0.2500
Sc 0.8750 0.7500 0.6250
H 0.0648 0.2231 0.1524
H 0.0648 0.3417 0.9124
H 0.0707 0.7231 0.6583
H 0.0707 0.8476 0.4124
H 0.0876 0.6524 0.4293
H 0.0876 0.9352 0.6583
H 0.1524 0.0648 0.2231
H 0.1524 0.5876 0.9293
H 0.1583 0.2231 0.5707
H 0.1583 0.4352 0.5876
H 0.2231 0.1524 0.0648
*/

The Tales of games run in a manner similar to Final Fantasy and Dragon Quest: there are a lot of them, currently 16 games total in the main series. Don’t let this discourage you, however; just like Final Fantasy and Dragon Quest, the games each have a standalone story and you can jump in wherever you like. Many of the games in the series work great as a couch co-op, but my personal favorite is Tales of Graces f.
The basic premise is the same in each game: one person controls the main character in the field, and the other player controls another party character in combat. Each game ends up with around six or seven characters by the end, so there is a fair selection to choose from. Each character specializes in a certain skillset, so figure out which one bests suits your play style. Tales of Graces f has an engaging story, funny characters, and a real-time combat system. Your character develops different attacks, and it is up to the player to determine which attacks to chain together depending on the situation, and how to play off the attacks of the other characters.
Tales of Graces f, specifically, is available exclusively on PS3. The other Tales of games can be found on multiple platforms.

Consider Terraria to be Minecraft‘s less popular older brother – it is a 2D side-scrolling sandbox game that places emphasis on building, exploration, and combat. Terraria is not an infinitely-expanding world like Minecraft is, however. There are three sizes of worlds and each world is capable of being fully explored. The player hunts for different materials to make better armor and weapons, defeats special bosses which unlock different world states, and builds homes for recruitable NPCs who each serve a unique function.
There’s no real plot to the game, but there are different goals that the game expects you to reach. Working towards these goals together is enjoyable – there’s a bit of a learning curve when you’re trying to figure out what you need to do next, but figuring that out together is half the fun.
Terraria is available on multiple platforms, but I found that playing with a controller made the game very clunky and awkward. I much preferred playing the PC version.
(As a side-note, Minecraft is fun to play together, too.)